
Funding: Total: $22,000,000. Maximum awards: $3M-$4M, depending on group.

Dates: Pre-Application Workshop: October 14, 2020. Deadline for Written Questions: October 21, 2020. Submission Deadline: December 30, 2020.


The purpose of this solicitation is to fund technology demonstration and deployment (TD&D) research projects that enable and evaluate resilience, renewable integration, and cost management use cases for medium- and heavy-duty (MDHD) plug-in electric vehicles (PEVs). Electrification of these large weight-class vehicles is challenging and costly due in part to their high-power charging needs and more demanding duty cycles as compared to light-duty vehicles. Up to $22M in funding is available for projects that: advance hardware and software tools for managed bi-directional energy transfer from electric school buses (Group 1); or advance hardware and/or software to integrate MDHD PEVs and charging equipment with a behind-the-meter distributed energy resource (DER) package that includes distributed generation, stationary storage, and an energy management system (Groups 2-3). In each group, projects will improve the functionality of key enabling technologies and aim to reduce equipment and integration costs, leading to improved total cost of ownership for MDHD PEV fleets. This solicitation supports the 2018-2020 Electric Program Investment Charge (EPIC) Investment Plan Initiatives: S2.3.1 “Development of Customers’ Business Proposition to Accelerate the Integrated Distributed Storage Market” and S3.2.1 “Grid-friendly Plug-in Electric Vehicle Mobility.”

Project Topic Areas:

This solicitation funds TD&D projects that will assess, advance, and find potential cost efficiencies of secure behind-the-meter DER packages that meet MDHD fleet mobility needs or optimize vehicle charging and discharging for one of three different use cases. The solicitation is divided into three groups, recognizing that different MDHD fleets will require different charging and site energy management approaches.

Group 1: Bi-Directional Energy Transfers from Electric School Buses

Group 1 projects will develop and demonstrate technologies for controlled, bi-directional energy transfer between electric school bus batteries and end-loads, grid-connected facilities, or distribution systems. To date there have been relatively few demonstrations of managed discharging of electric vehicle batteries in California. While these have demonstrated technical feasibility, further evaluation and data collection is necessary to understand implementation strategies, costs, and benefits for specific use cases. These demonstrations will inform other school districts deciding whether to include bi-directional capabilities in school bus procurements as well as electric vehicle charging service providers evaluating business models that include bi-directional capabilities, among other stakeholders. Reflecting decision maker needs for this information, demonstration of bi-directional energy transfers for resilience benefits is a priority consensus recommendation contained in the Joint Agencies Vehicle Grid Integration Working Group Final Report. Group 1 focuses on electric school buses in part because there are multiple commercially available products designed and warrantied for bi-directional operation. These buses are currently being purchased by California school districts, including through the Energy Commission’s School Bus Replacement Program.

Group 2: Integrated DER packages for Charging MDHD Fleets

Group 2 projects will tailor DER packages to fleets that are beginning to incorporate MDHD PEVs into their operations. Early adopters include transit agencies, ports, airports, railyards, and hub-and-spoke delivery operations. However, for PEVs to penetrate broadly into the MDHD market, fleets need better understanding of specific attributes. Important attributes include the cost and performance of these vehicles, the extent to which integrated DER packages can impact metrics such as total cost of ownership, and vehicle availability and downtime. Many of these fleets return to a central location to charge, but some may require en-route fast charging to extend vehicle range and minimize downtime. Group 2 projects may propose DER packages to support any combination of centralized and en-route charging with a focus on ease of integration and replicability at other sites. Specifically, the components and control systems should be interoperable, scalable, and replicable to the extent possible, all of which are important factors in the evaluation of technical merit and approach sections for proposals in this group. Drayage truck fleets including charging infrastructure to support drayage truck operations are not eligible for this solicitation. Please see the Energy Commission’s website for electric drayage truck related funding opportunities.

Group 3: Integrated DER packages for Electric School Buses

Group 3 projects will tailor DER packages for electric school bus charging, taking advantage of beneficial inherent attributes including long dwell times that are coincident with peak solar production, and well-defined duty cycles. Public schools often serve as community shelters during emergencies; thus, these projects may have a more targeted focus on increasing site and community resilience and should incorporate this community benefit into the value of lost load (VoLL) calculation. These demonstrations will inform decision makers as to whether to include DER charging for school buses and similar fleets as they become electrified. Note that all school bus projects should apply to either Group 1 if focused only on bi-directional energy transfer, or Group 3 if focused on DER integration. Bi-directional energy transfer is allowed in Group 3, but not required.


There is up to $22,000,000 available for grants awarded under this solicitation. Applications will be scored and ranked within each specific group; scores will not be compared across groups. For all groups, a maximum of 70% of the EPIC funding may be used for equipment purchases, including charging equipment, stationary storage, distributed renewable generation, smart-inverters, and associated software. This funding limit does not apply to balance-of-system costs. EPIC funds cannot be used to purchase vehicles for the proposed project, although applicants may use match funds to purchase vehicles. Match funding is required in the amount of at least 20% of the requested project funds in Groups 1 and 3; and at least 50% of the requested project funds in Group 2. Applications that include additional match funding will receive additional points during the scoring phase.

Project GroupAvailable fundingMinimum awardMaximum awardMinimum match funding
Group 1: Bi-Directional Energy Transfer from Electric School Buses$6,000,000$1,000,000$3,000,00020%
Group 2: Integrated DER packages for Charging MDHD Fleets$12,000,000$1,500,000$4,000,00050%
Group 3: Integrated DER packages for Charging Electric School Buses$4,000,000$2,000,000$4,000,00020%

Project Requirements:

Requirements for all groups

Projects must fall within the TD&D stage, which involves the installation and operation of pre-commercial technologies or strategies at a scale sufficiently large and in conditions sufficiently reflective of anticipated actual operating environments to enable appraisal of operational and performance characteristics, and of financial risks. Benefit electricity ratepayers; and Lead to technological advancement and breakthroughs to overcome the barriers that prevent the achievement of the state’s statutory energy goals. To maximize the impact of EPIC projects and to promote the further development and deployment of EPIC-funded technologies, a minimum of five percent of CEC funds requested should go towards technology transfer activities. The Project Narrative (Attachment 3) must include a Measurement and Verification Plan that describes how actual project benefits will be measured and quantified. This plan should provide sufficient detail to document the project team’s ability to measure, store, and report data on costs and operating parameters from vehicles, installed components, and the integrated system. These data provide a foundation for documenting and calculating project benefits. Sufficient budget should be provided for these tasks, as well as responding to three benefits questionnaires provided by CEC staff over the course of the project. A plan and schedule for regularly reporting data to the CEC for a minimum of 12 months should be included. The activities proposed in the Measurement and Verification Plan must be included in the “Technical Tasks” section of the Scope of Work Template (Attachment 5). All proposed projects must allocate appropriate funding for Community Based Organizations (CBO) engagement for relevant tasks under the scope of work.

Group-Specific Requirements

**Next to the text, the page also holds data records**
+++
Here is a geometry-optimized Ho2Fe17C structure from the Materials Project database. Energies are from GGA-PBE.

Relative energy among the computed polymorphs = 0 meV per atom
Energy of formation = -0.042 eV/atom

abc: 8.250 8.514 8.539
angles: 119.90 90.00 90.00
Fractional coordinates of all 40 atoms:
Fe1 0.895 0.667 0.334
Fe2 0.004 0.502 0.003
Fe3 0.250 0.631 0.959
Fe4 0.002 0.500 0.498
Fe5 0.981 0.167 0.833
Fe6 0.019 0.334 0.168
Fe7 0.498 0.998 0.498
Fe8 0.981 0.666 0.833
Fe9 0.750 0.950 0.620
Fe10 0.393 0.333 0.666
Fe11 0.605 0.667 0.334
Fe12 0.250 0.042 0.672
Fe13 0.518 0.166 0.332
Fe14 0.750 0.379 0.051
Fe15 0.020 0.832 0.664
Fe16 0.481 0.334 0.168
Fe17 0.498 0.500 0.498
Fe18 0.250 0.328 0.959
Fe19 0.250 0.328 0.369
Fe20 0.750 0.958 0.329
Fe21 0.480 0.832 0.664
Fe22 0.750 0.671 0.620
Fe23 0.750 0.672 0.051
Fe24 0.107 0.333 0.666
Fe25 0.250 0.630 0.672
Fe26 0.250 0.040 0.369
Fe27 0.002 0.998 0.498
Fe28 0.982 0.166 0.332
Fe29 0.519 0.167 0.833
Fe30 0.496 0.502 0.003
Fe31 0.750 0.372 0.329
Fe32 0.019 0.834 0.168
Fe33 0.519 0.666 0.833
Fe34 0.481 0.834 0.168
Ho1 0.750 0.331 0.662
Ho2 0.250 0.000 0.999
Ho3 0.750 0.003 0.006
Ho4 0.250 0.667 0.334
C1 0.750 0.165 0.835
C2 0.750 0.669 0.835


w.
DFT (PBE-GGA) results for a relaxed structure of TmCO4.

Cell and atoms, written as CIF:
```
data_TmCO4
_cell_length_a 9.464
_cell_length_b 9.464
_cell_length_c 7.833
_cell_angle_alpha 90.00
_cell_angle_beta 90.00
_cell_angle_gamma 90.00
_symmetry_space_group_name_H-M 'P 42/n m c'
_symmetry_Int_Tables_number 137
loop_
_symmetry_equiv_pos_as_xyz
'x,y,z'
'-x,-y,-z'
'-y+1/2,x,z+1/2'
'y+1/2,-x,-z+1/2'
'-x+1/2,-y+1/2,z'
'x+1/2,y+1/2,-z'
'y,-x+1/2,z+1/2'
'-y,x+1/2,-z+1/2'
'x+1/2,-y,-z'
'-x+1/2,y,z'
'-y,-x,-z+1/2'
'y,x,z+1/2'
'-x,y+1/2,-z'
'x,-y+1/2,z'
'y+1/2,x+1/2,-z+1/2'
'-y+1/2,-x+1/2,z+1/2'
loop_
_atom_site_label
_atom_site_fract_x
_atom_site_fract_y
_atom_site_fract_z
Tm1 0.020 0.520 0.250
C1 0.001 0.250 0.092
O1 0.005 0.630 0.987
O2 0.008 0.750 0.292
O3 0.012 0.250 0.256
```



x.
DFT (PBE-GGA) results for a relaxed structure of TmCO4.

Cell and atoms, written as CIF:
```
data_TmCO4
_cell_length_a 4.808
_cell_length_b 7.006
_cell_length_c 8.745
_cell_angle_alpha 90.00
_cell_angle_beta 90.00
_cell_angle_gamma 90.00
_symmetry_space_group_name_H-M 'P 21 21 21'
_symmetry_Int_Tables_number 19
_symmetry_space_group_name_Hall 'P 2ac 2ab'
loop_
_atom_site_label
_atom_site_fract_x
_atom_site_fract_y
_atom_site_fract_z
Tm1 0.026 0.127 0.161
C1 0.008 0.045 0.830
O1 0.030 0.814 0.143
O2 0.046 0.445 0.788
O3 0.180 0.618 0.581
O4 0.231 0.929 0.368
```



Relative calculated energies, zero for the most stable structure, unit kJ/mol of atoms: w 0.0; x 4.7.


Entry 1:
A plane-wave DFT calculation with PBE with a Hubbard U was carried out for an optimized crystal structure of Zn3Fe2Ge3O12.

Results
Space group: Ia-3d

Lattice parameters (Å, degrees): 10.522 10.522 10.522 109.47 109.47 109.47
Fractional positions:
Zn 0.125 0.250 0.375
Zn 0.125 0.375 0.750
Zn 0.250 0.375 0.125
+++

Group 1: Bi-directional Energy Transfer from Electric School Buses

Projects funded under Group 1 will develop and demonstrate hardware (e.g., bi-directional PEV chargers, inverters or power converters for mobile power) and software technologies to conduct managed bi-directional energy transfers from electric school buses that allow export of energy from vehicle batteries to building(s) and/or other end loads. Using these technologies, projects will implement strategies to evaluate at least one of the three use cases described above (cost-management, resilience, and renewable integration), and to evaluate any impacts on vehicle battery degradation. Successful projects in this Group will demonstrate controllable discharge of electric school bus batteries to facility circuits or end loads at a comparable cost ($/kW, $/kWh not including the vehicle cost) and performance on metrics such as lifetime, response time, and round trip efficiency to an equivalently-sized stationary storage system.

Group 2: Integrated DER packages for Charging MDHD Fleets, and Group 3: Integrated DER packages for Charging Electric School Buses

Projects funded under Groups 2 and 3 will develop and demonstrate a DER package, with minimum-defined components, to serve the duty cycles and charging infrastructure requirements of a fleet of MDHD PEVs. Successful applicants and projects will design a modular solution that can: scale to achieve significant market participation by 2035; accommodate multiple vehicle types, duty cycles, and use cases; and achieve a less expensive system as compared to a grid-connected unmanaged charging system over the expected useful life of all equipment. The less expensive system needs to be estimated for at least one electric IOU, and plan to achieve parity for all three electric IOUs by 2035. Value of lost load (VoLL) is allowable in this calculation, though the value must be clear in the proposal. Proposals should discuss which components are likely to achieve reduced costs as a result of the proposed project (e.g. hardware, software, balance of system and soft costs, financing, etc.). The EMS should be able to accommodate various applications of MDHD PEVs, and the system design should allow for various storage (e.g. battery chemistries) and distributed generation technologies (e.g. manufacturers, models, and renewable resources).

Eligible Applicants:

This solicitation is open to all public and private entities with the exception of local publicly owned electric utilities. In accordance with CPUC Decision 12-05-037, funds administered by the CEC may not be used for any purposes associated with local publicly owned electric utility activities.